+++
Record 1
The following is a quantum chemistry calculation of a cluster of 2 separate species, CH9N2O in total at a distorted geometry, from OMol25.

For the lowest unoccupied orbital energy, the calculation gives -0.127 Ha. For the electronic energy, the calculation gives -227.97510 hartree. Its spin multiplicity is 1. As for the orbital gap: 10.455 eV. The relative energy (zero: lowest compared OMol25 entry of this formula, charge and spin) is 25.4 kcal/mol. The largest force on an atom is 0.070 Eh/bohr. As for the total charge: +1.

Atoms and positions in Å:
O 1.973 2.130 0.800
H 2.756 1.939 1.335
H -0.756 0.016 1.223
H 2.482 2.653 0.142
N -0.427 0.314 0.335
C -0.395 -0.959 -0.548
N -1.565 -1.798 -0.412
H -1.072 0.908 -0.124
H 0.575 0.778 0.366
H -0.131 -0.654 -1.613
H 0.564 -1.441 -0.357
H -1.563 -2.671 -0.926
H -2.442 -1.216 -0.220

natural (NBO) atomic charge list, values in e, 5 entries:
1. O -0.9629
2. H 0.4938
3. H 0.4393
4. H 0.4960
5. N -0.7010



Record 2
The following is a quantum chemistry calculation of a cluster of 2 separate species, CH9N2O in total at a distorted geometry, from OMol25.

For the lowest unoccupied orbital energy, the calculation gives -0.125 Ha. For the electronic energy, the calculation gives -227.99605 hartree. Its spin multiplicity is 1. As for the orbital gap: 12.082 eV. The relative energy (zero: lowest compared OMol25 entry of this formula, charge and spin) is 12.2 kcal/mol. The largest force on an atom is 0.027 Eh/bohr. As for the total charge: +1.

Atoms and positions in Å:
N -1.484 -0.275 -1.535
H -1.265 0.716 -1.554
H -2.492 -0.244 -1.633
H -0.327 -1.089 0.088
H -1.209 -0.696 -2.421
N 0.643 -0.858 0.359
C 0.564 0.579 0.834
O 1.469 0.641 1.872
H 0.998 -1.406 1.141
H 1.226 -0.888 -0.475
H -0.480 0.761 1.100
H 0.785 1.228 -0.006
H 1.573 1.531 2.232

natural (NBO) atomic charge list, values in e, 5 entries:
1. N -1.1181
2. H 0.3676
3. H 0.3921
4. H 0.4834
5. H 0.3847



Record 3
The following is a quantum chemistry calculation of a cluster of 2 separate species, CH9N2O in total at a distorted geometry, from OMol25.

For the lowest unoccupied orbital energy, the calculation gives -0.125 Ha. For the electronic energy, the calculation gives -227.98213 hartree. Its spin multiplicity is 1. As for the orbital gap: 12.240 eV. The relative energy (zero: lowest compared OMol25 entry of this formula, charge and spin) is 21.0 kcal/mol. The largest force on an atom is 0.078 Eh/bohr. As for the total charge: +1.

Atoms and positions in Å:
N 0.914 1.780 1.111
H 0.091 2.102 1.711
H 1.371 2.685 0.911
H 0.425 0.325 0.506
H 1.639 1.318 1.854
N 0.358 -0.456 -0.244
C -1.019 -0.899 -0.662
O -0.893 -1.956 -1.559
H 1.007 -0.128 -1.068
H 0.801 -1.239 0.154
H -1.526 -0.090 -1.118
H -1.450 -1.148 0.304
H -1.719 -2.293 -1.901

natural (NBO) atomic charge list, values in e, 5 entries:
1. N -1.1182
2. H 0.3986
3. H 0.4155
4. H 0.4721
5. H 0.3929



Record 4
The following is a quantum chemistry calculation of a cluster of 3 separate species, CH9N2O2 in total at a distorted geometry, from OMol25.

For the lowest unoccupied orbital energy (spin up / spin down), the calculation gives 0.024 / 0.023 Ha. For the electronic energy, the calculation gives -303.40717 hartree. Its spin multiplicity is 2. As for the orbital gap (spin up / spin down): 5.129 / 9.452 eV. The relative energy (zero: lowest compared OMol25 entry of this formula, charge and spin) is 3.7 kcal/mol. The largest force on an atom is 0.026 Eh/bohr.

Atoms and positions in Å:
N 0.924 2.391 -0.100
C 1.072 1.010 -0.127
N 0.119 0.226 -0.775
H 0.265 2.819 -0.726
H 1.695 2.942 0.218
H 2.010 0.546 0.075
H -0.065 -0.710 -0.491
H -0.689 0.732 -1.068
H 0.802 -2.311 0.988
H 1.650 -3.494 0.289
O 1.359 -2.585 0.261
H -3.332 -1.228 0.238
H -3.140 -0.190 1.411
O -2.998 -0.365 0.481

natural (NBO) atomic charge list, values in e, 5 entries:
1. N -0.8541
2. C 0.0269
3. N -0.8399
4. H 0.3662
5. H 0.3866



Record 5
+++
Type out only the lines earlier on with the word "spin" in them.
For the lowest unoccupied orbital energy, the calculation gives -0.127 Ha. For the electronic energy, the calculation gives -227.97510 hartree. Its spin multiplicity is 1. As for the orbital gap: 10.455 eV. The relative energy (zero: lowest compared OMol25 entry of this formula, charge and spin) is 25.4 kcal/mol. The largest force on an atom is 0.070 Eh/bohr. As for the total charge: +1.
For the lowest unoccupied orbital energy, the calculation gives -0.125 Ha. For the electronic energy, the calculation gives -227.99605 hartree. Its spin multiplicity is 1. As for the orbital gap: 12.082 eV. The relative energy (zero: lowest compared OMol25 entry of this formula, charge and spin) is 12.2 kcal/mol. The largest force on an atom is 0.027 Eh/bohr. As for the total charge: +1.
For the lowest unoccupied orbital energy, the calculation gives -0.125 Ha. For the electronic energy, the calculation gives -227.98213 hartree. Its spin multiplicity is 1. As for the orbital gap: 12.240 eV. The relative energy (zero: lowest compared OMol25 entry of this formula, charge and spin) is 21.0 kcal/mol. The largest force on an atom is 0.078 Eh/bohr. As for the total charge: +1.
For the lowest unoccupied orbital energy (spin up / spin down), the calculation gives 0.024 / 0.023 Ha. For the electronic energy, the calculation gives -303.40717 hartree. Its spin multiplicity is 2. As for the orbital gap (spin up / spin down): 5.129 / 9.452 eV. The relative energy (zero: lowest compared OMol25 entry of this formula, charge and spin) is 3.7 kcal/mol. The largest force on an atom is 0.026 Eh/bohr.